3.3 Prevention of Falls

Falls from height are a major workplace hazard resulting in fatalities and injuries across a broad range of Victorian industries. This part of the regulations applies to all industries and all workplaces and apply specifically to work at heights of more than 2 metres.

These regulations have remained largely unchanged from the 2007 version. The main difference between the 2007 and the 2017 Prevention of Falls chapter is that there has been an inclusion to emphasise that while this chapter places specific duties in relation to falls above 2 metres, the employer has a general duty of care under the Act which means that risks associated with falls of two metres or less must also be controlled.

Below is a summary only. Always ensure that you have checked the full text of the regulations before taking any action.


The relevant definitions from Part 1 include the following (and more):

    • fall means a person's involuntary fall of more than 2 metres
    • fall arrest system means equipment or material or a combination of equipment and material that is designed to arrest the fall of a person. Example: Industrial safety net, catch platform or safety harness system (other than a travel restraint system).
    • administrative control means a system of work or a work procedure that is designed to eliminate or reduce a risk, but does not include -
      1. a physical control; or
      2. the use of personal protective equipment
    • passive fall prevention device means material or equipment, or a combination, that is designed for the purpose of preventing a fall, and that, after initial installation, does not require any ongoing adjustment, alteration or operation by any person to ensure the integrity of the device to perform its function. Example: Temporary work platform, roof safety mesh or guard railing
    • solid construction means an area that has each of the following:
  1. a surface that is structurally capable of supporting people, material and any other loads intended to be applied to it; and
  2. barriers around its perimeter and any open penetrations to prevent a fall from the area; and
  3. an even and readily negotiable surface and gradient; and
  4. a safe means of access and egress
  • task includes moving to and from a task
  • temporary access equipment means—
    • abseiling equipment; or
    • a work box; or
    • an industrial safety net; or
    • equipment incorporating a harness that is used or intended to be used to arrest the fall of a person wearing the harness
  • temporary work platform means—
    • a fixed, mobile or suspended scaffold; or
    • an elevating work platform; or
    • a mast climbing work platform; or
    • a work box supported and suspended by a crane, hoist, forklift truck or other form of mechanical plant; or
    • building maintenance equipment, including a building maintenance unit; or
    • a portable or mobile fabricated platform; or
    • any other temporary platform that provides a working area for the duration of work performed at height and that is designed to prevent a fall
  • travel restraint system means equipment that is worn by or attached to a person and is designed for the purpose of physically restraining a person from reaching an edge or elevated surface from which he or she may fall. Example: A system in which a harness or belt is attached to one or more lanyards, each attached in turn to a static line or anchorage point.
  • work positioning system means -
    1. An industrial rope access system; or
    2. A travel restraint system; or
    3. Any other equipment, other than a temporary work platform, that enables a person to be positioned and safely supported at a work location for the duration of the task being undertaken at height.

41 Application of Part

  1. Applies to the prevention of falls
    • meaning an involuntary fall above 2 meters
    • However, employer duties under s21 of the Act means that they must manage risks associated with falls of 2 metres or lesso provide and maintain a working
  2. This part does NOT apply in relation to -
    1. the following activities under the control or management of the employer
      1. stunt work
      2. acrobatics
      3. a theatrical performance
      4. a sporting or athletic activity
      5. the riding of a bicycle, motorbike or all-terrain vehicle
      6. horse riding
      7. rock climbing, abseiling or any other similar activities
    2. a task that is undertaken on those parts of a building or structure (including fixed stairs, fixed ladders, ramps and balconies) that -
      1. comply with AS 1657 (Fixed platforms walkways, stairways and ladders - Design, construction and installation); and
      2. comply with the Building Regulations 2006; and
      3. are used for the purpose for which they were designed, including for access or egress; or
  3. the Authority may determine an activity to be excluded if the Authority is satisfied that it is of a similar nature to any referred to in (2)(a)

____________
# MgMnAs2

A geometry-optimized MgMnAs2 structure (PBE, the Alexandria database).

## Properties
ρ: 5.31 Mg/m³
raw total energy: -5.079 eV/atom

Lattice parameters (Å, degrees): 3.1989 3.1989 7.1722 90.00 90.00 102.36
Sites, in units of the cell vectors:
Mg 0.0000 0.0000 0.0000
Mn 0.0000 0.0000 0.5000
As 0.5000 0.5000 0.2745
As 0.5000 0.5000 0.7255

~~~~~

The following is a GGA-PBEsol calculation of La2ReAg after structural relaxation, from Alexandria via LeMat-Bulk.

a b c (Å): 3.653 3.653 7.610
angles (deg): 90.00 90.00 90.00
Positions (direct):
La 0.500 0.500 0.320
La 0.000 0.000 0.915
Re 0.000 0.000 0.562
Ag 0.500 0.500 0.703

Results
**ΔE_f**: 0.443 eV per atom
**Excess energy over the best structure of this formula in the dataset**: 337 meV/atom
**Total magnetic moment**: 0.00 μB per cell

=====

The following is a GGA-PBEsol calculation of LaSi2Pt after structural relaxation, from Alexandria via LeMat-Bulk.

a b c (Å): 4.100 4.100 5.792
angles (deg): 69.27 69.27 60.00
Positions (direct):
Pt 0.000 0.000 0.000
La 0.500 0.500 0.500
Si 0.713 0.713 0.862
Si 0.287 0.287 0.138

Results
**Formation energy without anion corrections**: -1.009 eV/atom
**Total magnetic moment**: 0.00 μB per cell

=====

The following is a GGA-PBEsol calculation of KSb after structural relaxation, from Alexandria via LeMat-Bulk.

a b c (Å): 5.625 5.625 5.625
angles (deg): 60.00 60.00 60.00
Positions (direct):
Sb 0.250 0.250 0.250
K 0.000 0.000 0.000

Results
**Formation energy without anion corrections**: 0.631 eV/atom
**Excess energy over the best structure of this formula in the dataset**: 1049 meV/atom
**Total magnetic moment**: 2.00 μB per cell

=====

The following is a GGA-PBEsol calculation of SbTe2ICl after structural relaxation, from Alexandria via LeMat-Bulk.

a b c (Å): 5.725 5.725 5.855
angles (deg): 90.00 90.00 90.00
Positions (direct):
Sb 0.000 0.000 0.500
I 0.000 0.000 0.000
Cl 0.500 0.500 0.500
Te 0.000 0.500 0.000
Te 0.500 0.000 0.000

Results
**Formation energy without anion corrections**: 0.919 eV/atom
**Total magnetic moment**: 0.53 μB per cell
____________
Here the text continues:

42 Application to employers of emergency services employees

The Regulations have some specific limitations with regard to emergency service employees in so far as the duties of the employer when the employees are involved in a rescue, provision of first aid, carrying out an emergency response, undertaking training to deal with emergency and rescue, etc  - basically firefighters and ambulance officers. These limitations also apply to law enforcement officers (police) in certain circumstances. The regs allow that 45 (Use of a ladder as a control measure), 46 (Use of administrative controls only) and 47 (Use of plant to control risk) apply only so far as is reasonably practicable. Check the regulations if you are in one of these categories.

Division 2 - Duties of Employers 
43 Hazard identification

The employer must identify any task that might involve a fall hazard, including -

  1. during construction, demolition, inspection, testing, maintenance, repair or cleaning of any plant or structure;
  2. on a fragile, slippery or potentially unstable surface;
  3. using equipment to gain access to an elevated level or to carry out a task at an elevated level;
  4. on a sloping surface, where it is hard to maintain balance;
  5. near an unprotected edge; 
  6. near a hole, shaft, or pit big enough for a person to fall into.

44 Control of risk

This regulation sets out a 'hierarchy' - the employer must control the risk by beginning at (1) - doing the task in such a way as to eliminate the risk of a fall. However, if it is not reasonably practicable to comply with 44(1), and if a risk of a fall remains, then move to the next step, implement that control as far as reasonably practicable. If it's not reasonably practicable to comply with this next control, and a risk remains, then move down to the next control, and so on. So:

  1. elimination of the risk by, for example, arranging for the task to be done on the ground or on a solid construction (see definition, above
  2. If not reasonably practicable to comply with (1), and a risk remains: then the employer must ensure a passive fall prevention device is used (see definition, above).
  3. If still a risk: then a work positioning system must be used to reduce the risk (see definition, above)
  4. If still a risk: the employer must put in place a fall arrest system (see definition, above)
  5. If still a risk, only then can the employer reduce the risk by ensuring that -
    1. a fixed or portable ladder is used in accordance with regulation 45; or
    2. an administrative control is used

45 Use of a ladder as a control measure

The employer must ensure the ladder is fit for the purpose, appropriate to the type and duration of the task and set up in a correct manner.

46 Use of administrative control only

  1. If an employer uses only an administrative control (as per reg 44(5)(b)), the employer must, before the task is undertaken, record a description of the administrative controls used, and a description of the task to which these controls relate.
  2. A generic record can be made for a task if the task is to be done in the same or similar circumstances at more than one workplace, or at more than one work area in a workplace. (HSRs beware of generic records!)
  3. The employer must retain this record for the period during which the task is being undertaken.
  4. The preparation of a safe work statement in accordance with regulation 327 is to be taken to be in compliance with subreg (1), above.  (Reg 327 is a requirement for certain Construction workplaces).

47 Use of plant to control risk

  1. If plant is used to control a risk of a fall, the employer must ensure that it is designed and constructed for the task/range of tasks and in such a way that it is safe for use in the environment (physical and conditions) in which it will be used.
  2. The employer must ensure that the installation, erection or dismantling of the plant so that any risk is reduced so far as is reasonably practicable.

48 Review of risk control measures

  1. An employer must review and, if necessary, revise risk control measures:
    1. before any alteration to plant or systems of work that is likely to result in a fall; or
    2. after any notifiable incident that involves a fall or risk of a fall occrs; or
    3. if, for any other reason, the risk control measures do not adequately control the risks; or
    4. after a request from an HSR
  2. An HSR may make a request for a review if the rep believes 'on reasonable grounds' that
    1. any of the circumstances 1 (a) - (c) exists; or
    2. the employer has failed to
      1. properly review the risk control measures; or
      2. take account of any of the circumstances in 1 (a) - (c) when reviewing or revising the risk control measures.
49 Emergency procedures
  1. If an employer uses a risk control measure in accordance with 44 (2), (3), (4) or (5), the employer must establish emergency procedures as per this regulation
  2. The emergency procedures must,
    1. so far as is reasonably practicable, enable
      1. the rescue of an employee in the event of a fall; and
      2. the provision of first aid to someone who has fallen.
    2. be carried out immediately after the fall
  3. The employer must ensure that any risk associated with carrying out of an emergency procedure is eliminated, or if this is not reasonably practicable, reduced so far as is reasonably practicable.
  4. The employer must ensure that the emergency procedures are carried out immediately after the fall.


The 2017 regulations are supported by two construction codes of practice to assist with compliance. 

The Consolidated Regulations can be purchased from Information Victoria, 356 Collins Street, Melbourne, Telephone 1300 366 356. The full text of the regulations can be viewed and downloaded from the Victorian Legislation and Parliamentary Documents website -  click on Victorian Law Today, then on Statutory Rules, and then on "O" to find the Occupational Health and Safety Regulations. 

See Also

Last amended: June 2023